Goal: To provide students with opportunity to speculate, draw inferences, and form conclusions from information they have collected.

Objectives: Students will

  1. Engage in a guided-imagery exercise designed to stimulate motivation for a writing assignment


  2. Use clustering/mindmapping techniques to generate ideas, graphically represent inferences, and organize conclusions for a written report


  3. Write a report that presents conclusions the writer has reached, and facts substantiating those conclusions


Key Concepts: Inferences about life in other cultures, other times, may be drawn from excavated artifacts.

Summary: The teacher uses guided imagery to facilitate students' imagining themselves to be 25th-Century archaeologists, excavating artifacts from the site of a volcano active in the 1980's. Students then write a report detailing the inferences they have drawn and conclusions they have reached about human culture at the time of the eruption, substantiated by their analyses of those artifacts. (Note that this activity may refer to an eruption at any imaginary or actual volcanic site.)

Content Areas: Writing, social studies, archaeology, anthropology, history

Materials Needed:

Someone pasted calculated crystals at this point =
<<<
Calculated powder XRD pattern
Compound: Be8MoOs3
Radiation: CuKα
Structure: DFT lattice parameters and positions (PBE)
Kinematic intensities with the Lorentz-polarization factor, no thermal factor.

Cell and atoms:
Cell: 4.3825 4.3825 7.1087 Å, 90.00 90.00 120.00°
Space group P3m1 (No. 156)
One atom of each set of equivalent atoms:
Be (0.0000, 0.0000, 0.0000) [1 per cell]
Be (0.0000, 0.0000, 0.4967) [1 per cell]
Be (0.1695, 0.3389, 0.7549) [3 per cell]
Be (0.3363, 0.1681, 0.2412) [3 per cell]
Mo (0.6667, 0.3333, 0.5591) [1 per cell]
Os (0.3333, 0.6667, 0.0584) [1 per cell]
Os (0.3333, 0.6667, 0.4457) [1 per cell]
Os (0.6667, 0.3333, 0.9289) [1 per cell]

Principal peaks in the range 2θ from 10° to 90°, in order of rising 2θ:
| 2theta | I/Imax |
| --- | --- |
| 23.4 | 100 |
| 25.1 | 57 |
| 26.6 | 67 |
| 34.6 | 49 |
| 41.2 | 99 |
| 45.1 | 98 |
| 48.8 | 71 |
| 62.7 | 32 |
| 70.8 | 39 |
| 77.8 | 40 |
| 80.6 | 19 |
>>>

  1. Paper and pencil

Instructional Strategies:

  1. Clustering/Mindmapping
  2. Peer Editing
  3. The Magic of Metaphor


Evaluation: Establish criteria (depending upon what you have chosen to emphasize) for teacher or self-evaluation. These might include such questions as:

  1. Does each idea-cluster have at least three major sub-topics?
  2. Do the clusters contain descriptive, colorful language?
  3. Are each of the conclusions reached in the report substantiated by two or more 'facts?'
  4. Is creativity and originality exhibited in the final report?
  5. Has care been taken in the final revision/draft to correct mechanical errors?
  6. Has the final report been read by at least two peer-editors?


Instructional Sequence:  

  1. Introduce this activity with your own guided imagery, or read the following:

    You are an archaeologist from the 25th Century. You have just received an exciting new assignment. You are to direct the excavation of an ancient mudflow created by the eruption of (Mount St. Helens more than 400 years ago). Shortly after your arrival at the site, the digging begins. Day after day for two weeks, you and your crew carefully excavate layer upon layer of earth, silt and rocks, frequently coming upon huge boulders which can be moved only with the power and leverage provided by special heavy equipment. As one of these boulders is being moved, you sense that you are on the verge of great discoveries, for at its base you see an unfamiliar, shiny object that glistens and twinkles in the sun's rays. You pick up a small ring of metal unlike anything you have ever seen or read about. You call excitedly to other members of your crew, who, in just a few hours, help you unearth an astonishing collection of artifacts. A few of them are recognizable as items you've learned about in classes in history and anthropology. But others are completely unfamiliar: the object that first caught your eye -- the aluminum pop-top from a soft drink can -- and a pocket calculator, a rubber raft, a steel-belted radial tire, the rusted hulk of a Volkswagen, a digital watch, a leather belt, a plastic 'zip-lock' bag and inside the bag, perfectly preserved, a copy of TV Guide. For the next few minutes, quietly focus your mind's eye on these objects. What do they tell you about human life in (Washington State at the time of the Mount St. Helens eruption)? (Allow 2-3 minutes for silent reflection.)


  2. Conduct a discussion about the guided imagery, and students' individual imaginings about the artifacts unearthed. To encourage imaginative speculation, remind students to think in terms of a 25th-Century perspective: the objects unearthed at the site are not in use in their own day, and are foreign to them.


  3. As students contribute, note on the chalkboard key words, phrases, and images mentioned. (Use the "Clustering" method.) At the end of the discussion, give a brief explanation of the clustering method which you have just modeled on the board, or take time here to explicitly teach it as a study and note-taking skill.


  4. Now direct your students to write their own lists of several of the items excavated in the guided imagery. Tell them to select the items they would find most interesting to study if they were archaeologists of the future. Explain that they will use these lists to generate ideas for a report they will write, on life in (Washington State) at the time of the eruption. 


  5. As a whole class or in small groups, discuss the difference between an inference and a conclusion. What might an archaeologist infer about our culture from these artifacts? What might they conclude?


  6. Referring to the model on the board, ask students to "cluster" their ideas, key words and images around each of the items on their lists. Establish a minimum number of sub-topics per item and encourage the use of colorful descriptive language. (Circulate to assist with this if the technique is new to them.)


  7. In the next one or two class periods, help students to organize their clustered inferences into the final conclusions they will report in writing. They might work individually or in pairs. (Small-group editing, with each student reading aloud a draft of the report and getting feedback from peers, would be useful here. See:  Peer Editing.) 


  8. Have students finalize reports according to the standards for written work established for your class.



  1. Hold an "archaeologists' forum" in which individual students will share their inferences and conclusions about life in (Washington State) in 1980. Encourage students to take issue with their classmates' conclusions, and express opinions of their own, in a courteous and respectful way. This activity could then lead to debates about the various conclusions students have reached regarding one or more of the objects excavated.


  2. Conduct a survey, in which students ask people they know to identify the object(s) in our present environment that would be mostly likely to perplex people living in the 25th Century. Tabulate the results and share findings in further class discussion.